Sunday, May 31, 2009

Hitting the Wall

This is a piece I originally composed for Nancy J. Parra's site - Room With A View

Hitting the Wall

Hitting the wall. Losing one’s muse. Grinding to a halt. These phrases describe a very discouraging situation also known as writer’s block. Why does it happen and what can we do to correct the problem?

Creative difficulties occur for a number of reasons. Perhaps things were running smoothly and then our story ran out of gas. Maybe we have grown careless with our processes and habits, rendering us unprepared for challenges. Our enthusiasm may wane, draining all motivation. Bottom line – we hit a wall when we lose sight of our goal. Without a clear target, we begin to drift and our story may stall.

## Inserted here: records of crystals
First-principles (GGA-PBE) data for crystalline As2OsRu at its relaxed geometry, as listed in the Alexandria database.

The structure belongs to space group Cmm2 (No. 35); the cell edges are 2.8245, 4.9265 and 10.1425 Å and the angles 90.00°, 90.00° and 90.00°. The asymmetric unit holds As at (0.0000, 0.0000, 0.0000), As at (0.0000, 0.5000, 0.3626), Os at (0.0000, 0.0000, 0.5717) and Ru at (0.0000, 0.5000, 0.7949).

The formation enthalpy at 0 K comes out at 0.40 eV per atom. The offset from the most stable computed form comes out at 348.2 meV per atom.

How can we prevent the proverbial wall from appearing? How can writers apply the power of defined goals to their situation?

An outline provides a writer with a clear path to follow. Writing without an outline is like driving without a map –we don’t know where we’re going. A basic synopsis, complete with ending, will keep our story flowing forward. With an outline, we always have the option of skipping ahead to the next scene just to keep creativity flowing, thus preventing writer’s block from stopping us cold.

An outline will also keep us from wandering from our original idea. Think of all the time we save when we stop chasing rabbits! A physical outline is far more effective than a mental one, too. Our brilliantly conceived story will hold our interest if we can view concrete ideas and plans. Relying on the wisp of an idea in our minds is too vague and eventually leads to frustration. Write out the basic plot and set it in stone.

It takes more than an outline, though. The real strength of our resolve to stay on target resides between our ears! Our attitude and determination will play a pivotal role in our ability to move past obstacles. How strong is the desire to see our vision develop into a tangible story that others can enjoy? It will not matter how well constructed the outline if the story does not ignite the fire in our soul.

Is it really that simple? An outline and our attitude? Yes, because all it really takes to overcome any challenge or problem is a dream and a desire!

So, make preparations before the wall appears on the horizon and the inspirational muse goes missing. Plan a course of action and get excited about the journey. Remember, we don’t have time for obstacles in our path. We’ve got a story to write!


  1. AnonymousMay 31, 2009

    I appreciate the article. I agree an outline can help, even though I have to admit I'm not very diligent about writing them out and sticking to them. More of a wing it kind of writer. I write my way through walls, even if it's uninspired drivel. Then I make sure I'm in the zone when I rewrite during the self-editing phase. Works for me. :)

    The Old Silly from Free Spirit Blog

  2. Sometimes, if I get stuck, I do something else, like mop or pull weeds. By letting my mind wander, I usually come up with a solution to my problem.

    Straight From Hel

_Next to the article, the page also holds calculated crystals_
~~~
ZrCuRu2 | PBE-GGA | optimized geometry

Calculated values
crystal system = trigonal
V = 62.0 Å³/cell
N(E_F) = 1.241 states/eV per atom
energy of formation = 26.34 kJ/mol of atoms
magnetic moment = 0.0 μB per formula unit
total DFT energy (no corrections) = -7.526 eV per atom

a b c (Å): 9.1953 9.1953 9.1953
angles (deg): 17.60 17.60 17.60
Fractional positions:
~~~

  3. Helen, if you'd like to pull weeds at my house, feel free!

  4. If any of your readers have writer's block a GREAT book to read is by Stephen Pressfield. It's called "The War of Art." I highly recommend it even if you don't think you have writer's block. That was me. I didn't think I could benefit from the book because I have never experienced writer's block. It made me realize I was experiencing it in a different way--through procrastination!


  5. I don't believe in walls, Diane. If you don't believe in them, you can't hit them. Truly. This works. (-:

  6. I don't write outlines. I tried once but found it too constricting. But then I've never run out of steam or lost my direction either.

    I have to know what happens next and that is what keeps my writing flowing.

    If I knew how it ended when I started - I wouldn't bother writing it in the first place. :-)

  7. Allyn, I will look for that book, although I am anything but a procrastinator.

    And I think in a recent post of Chester's he said an author friend admitted she never knew who the killer was until the end, either, and he felt that was cheating the reader. I'll always believe in an outline. I will admit though, the outline is my second time running through a story. It has always played out completely in my head before I commit anything to paper.

  8. Hi! thanks for the link back- :)

    I think this is a very good blog with an important message. cheers!
